Contents:
- - -
a.
Here is a cluster of 7 separate species, C28H42O21 in total from OMol25. Energies are from wB97M-V/def2-TZVPD.

Each line ends with the Mulliken charge.
Element x y z (Å)
C 0.728 5.395 -2.797  -1.376
C -0.472 4.690 -3.330  0.180
C -0.357 3.592 -4.363  -0.413
O -0.435 2.491 -3.551  -0.139
C -0.981 2.729 -2.434  0.615
O -1.389 1.875 -1.643  -0.542
O -1.137 4.028 -2.270  -0.367
H 1.393 5.960 -3.545  0.302
H 1.271 4.611 -2.473  0.362
H 0.313 5.901 -2.011  0.437
H -1.229 5.314 -3.681  0.402
H 0.602 3.708 -4.905  0.287
H -1.302 3.669 -5.032  0.304
C -1.274 -2.029 -6.682  -2.116
C -1.724 -1.610 -5.324  1.267
C -1.464 -0.146 -4.883  -0.337
O -2.515 0.164 -4.081  -0.148
C -3.431 -0.791 -4.156  0.458
O -4.490 -0.626 -3.609  -0.569
O -3.035 -1.831 -4.956  -0.397
H -1.442 -2.931 -6.957  0.609
H -0.200 -1.848 -6.923  0.320
H -1.927 -1.535 -7.149  0.665
H -0.723 -2.106 -4.696  -0.151
H -1.464 0.389 -5.778  0.345
H -0.589 -0.099 -4.175  0.093
C -0.837 1.983 2.227  -1.061
C -1.116 3.370 2.620  0.799
C -2.533 4.084 2.564  -0.267
O -3.066 3.776 3.795  -0.306
C -2.074 3.629 4.720  0.536
O -2.241 3.403 5.945  -0.569
O -0.835 3.481 4.032  -0.316
H -1.682 1.221 2.747  0.180
H 0.009 1.530 2.451  0.344
H -1.043 1.999 1.119  0.125
H -0.187 4.105 2.094  0.001
H -3.079 3.510 1.748  0.270
H -2.543 5.163 2.197  0.240
C 3.193 -0.653 -0.618  -1.724
C 1.704 -0.916 -0.250  1.863
C 0.782 -1.176 -1.425  -0.406
O 0.531 -2.502 -1.312  -0.316
C 1.157 -3.123 -0.352  0.500
O 1.059 -4.291 -0.023  -0.638
O 1.911 -2.204 0.319  -0.286
H 3.709 -1.398 -1.223  0.428
H 3.691 -0.526 0.372  0.153
H 3.326 0.309 -0.905  0.589
H 1.309 -0.104 0.514  -0.829
H 1.341 -1.000 -2.444  -0.003
H 0.025 -0.506 -1.375  0.423
C -4.275 -4.640 -0.309  -1.719
C -2.832 -4.186 -0.342  0.268
C -2.655 -3.111 -1.391  -0.438
O -2.708 -1.928 -0.552  -0.230
C -2.340 -2.261 0.732  0.503
O -2.096 -1.368 1.576  -0.597
O -2.527 -3.590 0.933  -0.283
H -4.940 -3.831 -0.364  0.428
H -4.646 -5.444 0.596  0.234
H -4.445 -5.162 -1.135  0.590
H -2.351 -5.050 -0.638  0.476
H -3.400 -2.998 -2.029  0.774
H -1.717 -3.217 -1.927  0.034
C 2.975 -2.770 3.490  -1.535
C 1.552 -2.774 4.115  0.634
C 0.642 -3.927 3.761  -0.038
O 0.686 -4.753 4.873  -0.321
C 1.328 -4.072 5.835  0.567
O 1.383 -4.390 7.079  -0.656
O 1.830 -2.974 5.431  -0.325
H 3.400 -1.916 3.733  0.612
H 2.975 -2.850 2.428  0.198
H 3.398 -3.775 3.566  0.390
H 1.142 -1.763 4.116  0.210
H 0.978 -4.454 2.819  0.118
H -0.420 -3.678 3.626  0.170
C 4.600 1.330 2.715  -1.349
C 3.120 1.532 2.733  0.055
C 2.714 2.948 3.260  -0.428
O 2.333 3.685 2.104  -0.362
C 2.546 2.906 0.949  0.517
O 2.296 3.299 -0.156  -0.564
O 3.019 1.734 1.272  -0.022
H 5.046 1.470 3.800  0.385
H 5.252 2.070 2.144  0.316
H 4.993 0.368 2.346  0.340
H 2.761 0.757 2.861  0.786
H 3.346 3.664 3.885  0.299
H 1.821 2.981 3.975  0.144

Values from the calculation:
Highest occupied orbital energy ... -9.92 eV
Structure (SMILES) ... C[C@H]1COC(=O)O1.C[C@H]1COC(=O)O1.C[C@H]1COC(=O)O1.C[C@H]1COC(=O)O1.C[C@H]1COC(=O)O1.C[C@H]1COC(=O)O1.C[C@H]1COC(=O)O1
Charge ... 0
Spin multiplicity ... 1
LUMO ... 0.09 eV

***

b.
Here is a cluster of 7 separate species, C28H42O21 in total from OMol25. Energies are from wB97M-V/def2-TZVPD.

Each line ends with the Mulliken charge.
Element x y z (Å)
C 23.189 2.628 -4.032  -1.318
C 23.785 1.487 -4.915  0.443
C 25.258 1.448 -4.742  -0.502
O 25.488 0.207 -4.243  -0.349
C 24.321 -0.454 -3.862  0.665
O 24.405 -1.555 -3.391  -0.524
O 23.303 0.296 -4.346  -0.358
H 23.508 3.594 -4.425  0.391
H 23.528 2.670 -2.997  0.345
H 22.099 2.616 -4.042  0.336
H 23.647 1.554 -5.994  0.305
H 25.793 2.058 -4.014  0.247
H 25.734 1.749 -5.675  0.316
C 20.350 -4.312 -7.783  -1.435
C 20.747 -4.027 -9.200  0.645
C 22.212 -3.663 -9.464  -0.458
O 22.472 -4.304 -10.774  -0.294
C 21.648 -5.257 -10.942  0.666
O 21.807 -6.194 -11.717  -0.573
O 20.641 -5.105 -9.997  -0.373
H 21.013 -5.036 -7.310  0.343
H 19.307 -4.611 -7.680  0.348
H 20.251 -3.452 -7.120  0.386
H 20.122 -3.179 -9.479  0.163
- - -
Request:
Your job: find the line above that holds "0.268", then restate that line and all lines after it there.
Result:
C -2.832 -4.186 -0.342  0.268
C -2.655 -3.111 -1.391  -0.438
O -2.708 -1.928 -0.552  -0.230
C -2.340 -2.261 0.732  0.503
O -2.096 -1.368 1.576  -0.597
O -2.527 -3.590 0.933  -0.283
H -4.940 -3.831 -0.364  0.428
H -4.646 -5.444 0.596  0.234
H -4.445 -5.162 -1.135  0.590
H -2.351 -5.050 -0.638  0.476
H -3.400 -2.998 -2.029  0.774
H -1.717 -3.217 -1.927  0.034
C 2.975 -2.770 3.490  -1.535
C 1.552 -2.774 4.115  0.634
C 0.642 -3.927 3.761  -0.038
O 0.686 -4.753 4.873  -0.321
C 1.328 -4.072 5.835  0.567
O 1.383 -4.390 7.079  -0.656
O 1.830 -2.974 5.431  -0.325
H 3.400 -1.916 3.733  0.612
H 2.975 -2.850 2.428  0.198
H 3.398 -3.775 3.566  0.390
H 1.142 -1.763 4.116  0.210
H 0.978 -4.454 2.819  0.118
H -0.420 -3.678 3.626  0.170
C 4.600 1.330 2.715  -1.349
C 3.120 1.532 2.733  0.055
C 2.714 2.948 3.260  -0.428
O 2.333 3.685 2.104  -0.362
C 2.546 2.906 0.949  0.517
O 2.296 3.299 -0.156  -0.564
O 3.019 1.734 1.272  -0.022
H 5.046 1.470 3.800  0.385
H 5.252 2.070 2.144  0.316
H 4.993 0.368 2.346  0.340
H 2.761 0.757 2.861  0.786
H 3.346 3.664 3.885  0.299
H 1.821 2.981 3.975  0.144

Values from the calculation:
Highest occupied orbital energy ... -9.92 eV
Structure (SMILES) ... C[C@H]1COC(=O)O1.C[C@H]1COC(=O)O1.C[C@H]1COC(=O)O1.C[C@H]1COC(=O)O1.C[C@H]1COC(=O)O1.C[C@H]1COC(=O)O1.C[C@H]1COC(=O)O1
Charge ... 0
Spin multiplicity ... 1
LUMO ... 0.09 eV

***

b.
Here is a cluster of 7 separate species, C28H42O21 in total from OMol25. Energies are from wB97M-V/def2-TZVPD.

Each line ends with the Mulliken charge.
Element x y z (Å)
C 23.189 2.628 -4.032  -1.318
C 23.785 1.487 -4.915  0.443
C 25.258 1.448 -4.742  -0.502
O 25.488 0.207 -4.243  -0.349
C 24.321 -0.454 -3.862  0.665
O 24.405 -1.555 -3.391  -0.524
O 23.303 0.296 -4.346  -0.358
H 23.508 3.594 -4.425  0.391
H 23.528 2.670 -2.997  0.345
H 22.099 2.616 -4.042  0.336
H 23.647 1.554 -5.994  0.305
H 25.793 2.058 -4.014  0.247
H 25.734 1.749 -5.675  0.316
C 20.350 -4.312 -7.783  -1.435
C 20.747 -4.027 -9.200  0.645
C 22.212 -3.663 -9.464  -0.458
O 22.472 -4.304 -10.774  -0.294
C 21.648 -5.257 -10.942  0.666
O 21.807 -6.194 -11.717  -0.573
O 20.641 -5.105 -9.997  -0.373
H 21.013 -5.036 -7.310  0.343
H 19.307 -4.611 -7.680  0.348
H 20.251 -3.452 -7.120  0.386
H 20.122 -3.179 -9.479  0.163